**Excerpt**
(1)
{
  "formula": "C39H57ClFIN2O8PS",
  "method": "the ωB97M-V functional and the def2-TZVPD basis",
  "elements": ["H", "H", "H", "H", "H", "H", "O", "C", "H", "O", "C", "C", "C", "H", "H", "C", "C", "H", "C", "H", "H", "C", "C", "C", "H", "H", "H", "H", "H", "H", "C", "O", "C", "H", "C", "H", "C", "C", "P", "C", "H", "H", "N", "H", "H", "C", "H", "H", "Cl", "C", "C", "C", "H", "H", "C", "H", "C", "H", "C", "C", "C", "O", "H", "O", "C", "H", "C", "C", "H", "H", "H", "H", "C", "H", "H", "H", "H", "O", "C", "C", "C", "I", "O", "F", "S", "H", "C", "C", "H", "H", "N", "C", "H", "H", "H", "C", "H", "H", "H", "H", "O", "C", "H", "H", "H", "H", "C", "H", "H", "H", "C"],
  "coordinates": [[4.039, -5.097, -2.914], [4.376, -2.742, -4.063], [3.124, 3.183, -1.642], [2.657, -0.927, -3.677], [-4.122, 8.391, -0.137], [0.412, 5.038, 3.551], [-2.972, -0.261, 2.671], [-2.176, 8.681, 0.729], [-5.381, 0.812, -3.267], [-7.411, -0.196, 3.236], [-0.487, 1.460, 0.933], [-3.117, 0.827, -0.794], [4.663, -9.935, -3.239], [1.382, -1.370, 1.775], [-3.297, 1.454, -4.574], [-7.973, -1.488, 3.500], [-2.233, 7.476, 1.651], [5.672, -8.021, -3.411], [-1.863, 1.406, -2.877], [-5.650, 0.592, 3.994], [-0.689, -1.320, -1.674], [-3.073, 8.246, -0.413], [1.950, -5.873, -1.191], [4.072, -10.022, -4.633], [-8.496, -1.438, 4.461], [-7.019, -3.336, 4.181], [-1.321, 7.354, 2.239], [0.067, -0.452, -3.101], [4.855, -9.860, -5.379], [-2.889, 8.779, -1.345], [-0.862, 3.728, 2.102], [-2.424, 6.326, 0.817], [4.735, -8.434, -3.022], [3.590, -10.976, -4.847], [0.365, 0.552, 3.205], [-3.084, 7.540, 2.337], [2.120, -4.438, -1.849], [-1.801, 1.139, -1.386], [2.159, 1.239, -2.087], [0.747, 0.314, -1.161], [4.671, 5.398, -0.098], [-3.606, 6.180, -0.881], [1.525, -0.136, 0.060], [-2.365, 2.101, 2.085], [5.547, 3.849, 3.357], [-0.341, 0.150, 1.819], [3.206, 4.399, -0.040], [4.644, -8.158, -1.969], [1.662, 1.645, -4.073], [-3.199, 1.268, -3.473], [-0.425, 1.291, -0.660], [3.504, -2.966, -3.392], [5.227, 2.095, 1.719], [0.218, -3.541, -0.957], [-1.573, 2.513, 1.413], [5.631, -10.426, -3.140], [-0.563, 0.547, 4.490], [0.484, 2.022, 1.130], [0.701, -0.829, 1.073], [-6.813, -2.466, 3.556], [4.197, 4.541, 0.391], [5.006, 3.385, 0.132], [-1.897, 6.579, -1.153], [-0.438, -0.392, 5.250], [5.505, 4.165, 2.314], [-5.774, -1.487, 5.164], [-0.224, 4.483, 2.837], [3.311, -4.275, -2.731], [-8.697, -1.739, 2.723], [3.354, 4.110, 2.325], [-2.498, 9.603, 1.214], [0.827, 1.587, 3.171], [-5.690, -1.591, 4.078], [6.737, 2.812, 1.120], [2.297, -0.785, -0.199], [-5.530, -0.207, 2.413], [-0.997, 1.701, -3.505], [2.295, 2.763, -1.337], [2.502, -1.902, -3.153], [4.156, 4.720, 1.896], [5.688, 3.015, 1.340], [-1.980, 2.061, 5.074], [-1.400, -2.035, 2.971], [-2.312, -1.678, 0.701], [-1.796, -0.912, 2.092], [2.032, 0.700, 0.410], [-4.414, 0.899, -2.718], [0.273, -0.877, -2.074], [-6.571, -2.818, 2.548], [2.956, -8.434, -5.633], [-4.355, 0.701, -1.365], [-5.990, -0.263, 3.405], [-4.694, -1.969, 3.848], [6.282, 4.917, 2.153], [2.616, -6.014, -0.300], [1.309, -2.025, -2.281], [-3.125, 0.692, 0.325], [2.127, -9.148, -4.235], [0.865, -5.985, -0.934], [3.976, -10.384, -2.517], [3.655, -7.854, -3.768], [-2.763, 6.763, -0.507], [-2.119, 2.972, 0.534], [0.129, -1.641, 0.528], [1.229, -0.128, 3.467], [-0.079, 2.316, -1.011], [1.117, -3.363, -1.610], [2.179, -6.595, -2.030], [3.994, 5.755, 2.197], [-1.155, 8.825, 0.364], [3.102, -8.855, -4.637]],

**To do**
Your job: find the line earlier on that holds "elements", then set down that line and all lines after it there.

**Reply**
  "elements": ["H", "H", "H", "H", "H", "H", "O", "C", "H", "O", "C", "C", "C", "H", "H", "C", "C", "H", "C", "H", "H", "C", "C", "C", "H", "H", "H", "H", "H", "H", "C", "O", "C", "H", "C", "H", "C", "C", "P", "C", "H", "H", "N", "H", "H", "C", "H", "H", "Cl", "C", "C", "C", "H", "H", "C", "H", "C", "H", "C", "C", "C", "O", "H", "O", "C", "H", "C", "C", "H", "H", "H", "H", "C", "H", "H", "H", "H", "O", "C", "C", "C", "I", "O", "F", "S", "H", "C", "C", "H", "H", "N", "C", "H", "H", "H", "C", "H", "H", "H", "H", "O", "C", "H", "H", "H", "H", "C", "H", "H", "H", "C"],
  "coordinates": [[4.039, -5.097, -2.914], [4.376, -2.742, -4.063], [3.124, 3.183, -1.642], [2.657, -0.927, -3.677], [-4.122, 8.391, -0.137], [0.412, 5.038, 3.551], [-2.972, -0.261, 2.671], [-2.176, 8.681, 0.729], [-5.381, 0.812, -3.267], [-7.411, -0.196, 3.236], [-0.487, 1.460, 0.933], [-3.117, 0.827, -0.794], [4.663, -9.935, -3.239], [1.382, -1.370, 1.775], [-3.297, 1.454, -4.574], [-7.973, -1.488, 3.500], [-2.233, 7.476, 1.651], [5.672, -8.021, -3.411], [-1.863, 1.406, -2.877], [-5.650, 0.592, 3.994], [-0.689, -1.320, -1.674], [-3.073, 8.246, -0.413], [1.950, -5.873, -1.191], [4.072, -10.022, -4.633], [-8.496, -1.438, 4.461], [-7.019, -3.336, 4.181], [-1.321, 7.354, 2.239], [0.067, -0.452, -3.101], [4.855, -9.860, -5.379], [-2.889, 8.779, -1.345], [-0.862, 3.728, 2.102], [-2.424, 6.326, 0.817], [4.735, -8.434, -3.022], [3.590, -10.976, -4.847], [0.365, 0.552, 3.205], [-3.084, 7.540, 2.337], [2.120, -4.438, -1.849], [-1.801, 1.139, -1.386], [2.159, 1.239, -2.087], [0.747, 0.314, -1.161], [4.671, 5.398, -0.098], [-3.606, 6.180, -0.881], [1.525, -0.136, 0.060], [-2.365, 2.101, 2.085], [5.547, 3.849, 3.357], [-0.341, 0.150, 1.819], [3.206, 4.399, -0.040], [4.644, -8.158, -1.969], [1.662, 1.645, -4.073], [-3.199, 1.268, -3.473], [-0.425, 1.291, -0.660], [3.504, -2.966, -3.392], [5.227, 2.095, 1.719], [0.218, -3.541, -0.957], [-1.573, 2.513, 1.413], [5.631, -10.426, -3.140], [-0.563, 0.547, 4.490], [0.484, 2.022, 1.130], [0.701, -0.829, 1.073], [-6.813, -2.466, 3.556], [4.197, 4.541, 0.391], [5.006, 3.385, 0.132], [-1.897, 6.579, -1.153], [-0.438, -0.392, 5.250], [5.505, 4.165, 2.314], [-5.774, -1.487, 5.164], [-0.224, 4.483, 2.837], [3.311, -4.275, -2.731], [-8.697, -1.739, 2.723], [3.354, 4.110, 2.325], [-2.498, 9.603, 1.214], [0.827, 1.587, 3.171], [-5.690, -1.591, 4.078], [6.737, 2.812, 1.120], [2.297, -0.785, -0.199], [-5.530, -0.207, 2.413], [-0.997, 1.701, -3.505], [2.295, 2.763, -1.337], [2.502, -1.902, -3.153], [4.156, 4.720, 1.896], [5.688, 3.015, 1.340], [-1.980, 2.061, 5.074], [-1.400, -2.035, 2.971], [-2.312, -1.678, 0.701], [-1.796, -0.912, 2.092], [2.032, 0.700, 0.410], [-4.414, 0.899, -2.718], [0.273, -0.877, -2.074], [-6.571, -2.818, 2.548], [2.956, -8.434, -5.633], [-4.355, 0.701, -1.365], [-5.990, -0.263, 3.405], [-4.694, -1.969, 3.848], [6.282, 4.917, 2.153], [2.616, -6.014, -0.300], [1.309, -2.025, -2.281], [-3.125, 0.692, 0.325], [2.127, -9.148, -4.235], [0.865, -5.985, -0.934], [3.976, -10.384, -2.517], [3.655, -7.854, -3.768], [-2.763, 6.763, -0.507], [-2.119, 2.972, 0.534], [0.129, -1.641, 0.528], [1.229, -0.128, 3.467], [-0.079, 2.316, -1.011], [1.117, -3.363, -1.610], [2.179, -6.595, -2.030], [3.994, 5.755, 2.197], [-1.155, 8.825, 0.364], [3.102, -8.855, -4.637]],